== Work order ==
Start at the top of the listing below and type out each line, ending with the one that has "2.188 Å,".

== Given ==
┌──
No. 1
Simulated XRD peak list
Compound: CsTmPdSe3
Radiation: Cu Kα (weighted mean of Kα1 and Kα2)
Structure: a structure optimized by DFT (GGA-PBE)
Neutral-atom scattering factors, no anomalous dispersion.

Principal peaks in the range 5 to 70 degrees two-theta, sorted by position:
d = 8.297 Å, intensity 100.0
d = 4.359 Å, intensity 26.1
d = 4.148 Å, intensity 21.5
d = 3.135 Å, intensity 89.3
d = 2.770 Å, intensity 67.2
d = 2.561 Å, intensity 31.2
d = 2.303 Å, intensity 67.7
d = 2.179 Å, intensity 21.9
d = 2.049 Å, intensity 28.1
d = 1.740 Å, intensity 21.5

Atomic structure:
a = 8.546 Å, b = 8.546 Å, c = 10.246 Å
α = 90.00°, β = 90.00°, γ = 152.26°
Element x y z (fractional)
Cs1 0.249 0.751 0.750
Cs2 0.751 0.249 0.250
Tm1 0.000 0.000 0.000
Tm2 0.000 0.000 0.500
Pd1 0.484 0.516 0.250
Pd2 0.516 0.484 0.750
Se1 0.075 0.925 0.250
Se2 0.387 0.613 0.061
Se3 0.387 0.613 0.439
Se4 0.613 0.387 0.561
Se5 0.613 0.387 0.939
Se6 0.925 0.075 0.750

No. 2
Simulated XRD peak list
Compound: Cd2Si2AsP3
Radiation: Cu Kα (weighted mean of Kα1 and Kα2)
Structure: a structure optimized by DFT (GGA-PBE)
Neutral-atom scattering factors, no anomalous dispersion.

Principal peaks in the range 5 to 70 degrees two-theta, sorted by position:
d = 5.111 Å, intensity 23.8
d = 5.068 Å, intensity 26.5
d = 3.253 Å, intensity 84.8
d = 3.231 Å, intensity 100.0
d = 3.023 Å, intensity 21.1
d = 2.507 Å, intensity 28.5
d = 2.042 Å, intensity 40.6
d = 1.970 Å, intensity 19.5
d = 1.956 Å, intensity 37.0
d = 1.726 Å, intensity 28.0

Atomic structure:
a = 6.691 Å, b = 6.691 Å, c = 5.793 Å
α = 115.16°, β = 115.16°, γ = 51.00°
Element x y z (fractional)
Cd1 0.128 0.128 0.371
Cd2 0.872 0.872 0.629
Si1 0.386 0.358 0.115
Si2 0.642 0.614 0.885
As1 0.300 0.700 0.500
P1 0.009 0.491 0.796
P2 0.509 0.991 0.204
P3 0.714 0.286 0.000

No. 3
Simulated XRD peak list
Compound: RbZrPdSe2S
Radiation: Cu Kα (weighted mean of Kα1 and Kα2)
Structure: a structure optimized by DFT (GGA-PBE)
Neutral-atom scattering factors, no anomalous dispersion.

Principal peaks in the range 5 to 70 degrees two-theta, sorted by position:
d = 7.817 Å, intensity 100.0
d = 3.039 Å, intensity 15.3
d = 2.943 Å, intensity 44.3
d = 2.838 Å, intensity 50.2
d = 2.523 Å, intensity 37.0
d = 2.400 Å, intensity 21.5
d = 2.366 Å, intensity 17.9
d = 2.069 Å, intensity 20.2
d = 1.956 Å, intensity 31.7
d = 1.708 Å, intensity 16.6

Atomic structure:
a = 8.954 Å, b = 3.913 Å, c = 9.900 Å
α = 90.00°, β = 112.96°, γ = 90.00°
Element x y z (fractional)
Rb1 0.238 0.250 0.272
Rb2 0.762 0.750 0.728
Zr1 0.308 0.750 0.830
Zr2 0.692 0.250 0.170
Pd1 0.099 0.250 0.588
Pd2 0.901 0.750 0.412
Se1 0.113 0.250 0.858
Se2 0.462 0.750 0.140
Se3 0.538 0.250 0.860
Se4 0.887 0.750 0.142
S1 0.237 0.750 0.557
S2 0.763 0.250 0.443

No. 4
Simulated XRD peak list
Compound: Ba3TcO6
Radiation: Cu Kα (weighted mean of Kα1 and Kα2)
Structure: a structure optimized by DFT (GGA-PBE)
Neutral-atom scattering factors, no anomalous dispersion.

Principal peaks in the range 5 to 70 degrees two-theta, sorted by position:
d = 3.172 Å, intensity 100.0
d = 3.161 Å, intensity 45.0
d = 3.051 Å, intensity 45.0
d = 3.032 Å, intensity 93.3
d = 2.195 Å, intensity 50.7
d = 2.188 Å, intensity 21.3
d = 1.857 Å, intensity 34.0
d = 1.778 Å, intensity 21.0
d = 1.772 Å, intensity 22.0
d = 1.758 Å, intensity 20.2

Atomic structure:
a = 6.064 Å, b = 6.064 Å, c = 6.335 Å
α = 118.38°, β = 118.38°, γ = 60.42°
Element x y z (fractional)
Ba1 0.000 0.000 0.000
Ba2 0.242 0.242 0.726
Ba3 0.758 0.758 0.274
Tc1 0.500 0.500 0.500
O1 0.217 0.667 0.651
O2 0.295 0.295 0.201
O3 0.333 0.783 0.349
O4 0.667 0.217 0.651
O5 0.705 0.705 0.799
O6 0.783 0.333 0.349

No. 5
Simulated XRD peak list
Compound: Mg3Ir
Radiation: Cu Kα (weighted mean of Kα1 and Kα2)
Structure: a structure optimized by DFT (GGA-PBE)
Neutral-atom scattering factors, no anomalous dispersion.

Principal peaks in the range 5 to 70 degrees two-theta, sorted by position:
d = 5.092 Å, intensity 49.7
d = 3.425 Å, intensity 100.0
└──

== Result ==
No. 1
Simulated XRD peak list
Compound: CsTmPdSe3
Radiation: Cu Kα (weighted mean of Kα1 and Kα2)
Structure: a structure optimized by DFT (GGA-PBE)
Neutral-atom scattering factors, no anomalous dispersion.

Principal peaks in the range 5 to 70 degrees two-theta, sorted by position:
d = 8.297 Å, intensity 100.0
d = 4.359 Å, intensity 26.1
d = 4.148 Å, intensity 21.5
d = 3.135 Å, intensity 89.3
d = 2.770 Å, intensity 67.2
d = 2.561 Å, intensity 31.2
d = 2.303 Å, intensity 67.7
d = 2.179 Å, intensity 21.9
d = 2.049 Å, intensity 28.1
d = 1.740 Å, intensity 21.5

Atomic structure:
a = 8.546 Å, b = 8.546 Å, c = 10.246 Å
α = 90.00°, β = 90.00°, γ = 152.26°
Element x y z (fractional)
Cs1 0.249 0.751 0.750
Cs2 0.751 0.249 0.250
Tm1 0.000 0.000 0.000
Tm2 0.000 0.000 0.500
Pd1 0.484 0.516 0.250
Pd2 0.516 0.484 0.750
Se1 0.075 0.925 0.250
Se2 0.387 0.613 0.061
Se3 0.387 0.613 0.439
Se4 0.613 0.387 0.561
Se5 0.613 0.387 0.939
Se6 0.925 0.075 0.750

No. 2
Simulated XRD peak list
Compound: Cd2Si2AsP3
Radiation: Cu Kα (weighted mean of Kα1 and Kα2)
Structure: a structure optimized by DFT (GGA-PBE)
Neutral-atom scattering factors, no anomalous dispersion.

Principal peaks in the range 5 to 70 degrees two-theta, sorted by position:
d = 5.111 Å, intensity 23.8
d = 5.068 Å, intensity 26.5
d = 3.253 Å, intensity 84.8
d = 3.231 Å, intensity 100.0
d = 3.023 Å, intensity 21.1
d = 2.507 Å, intensity 28.5
d = 2.042 Å, intensity 40.6
d = 1.970 Å, intensity 19.5
d = 1.956 Å, intensity 37.0
d = 1.726 Å, intensity 28.0

Atomic structure:
a = 6.691 Å, b = 6.691 Å, c = 5.793 Å
α = 115.16°, β = 115.16°, γ = 51.00°
Element x y z (fractional)
Cd1 0.128 0.128 0.371
Cd2 0.872 0.872 0.629
Si1 0.386 0.358 0.115
Si2 0.642 0.614 0.885
As1 0.300 0.700 0.500
P1 0.009 0.491 0.796
P2 0.509 0.991 0.204
P3 0.714 0.286 0.000

No. 3
Simulated XRD peak list
Compound: RbZrPdSe2S
Radiation: Cu Kα (weighted mean of Kα1 and Kα2)
Structure: a structure optimized by DFT (GGA-PBE)
Neutral-atom scattering factors, no anomalous dispersion.

Principal peaks in the range 5 to 70 degrees two-theta, sorted by position:
d = 7.817 Å, intensity 100.0
d = 3.039 Å, intensity 15.3
d = 2.943 Å, intensity 44.3
d = 2.838 Å, intensity 50.2
d = 2.523 Å, intensity 37.0
d = 2.400 Å, intensity 21.5
d = 2.366 Å, intensity 17.9
d = 2.069 Å, intensity 20.2
d = 1.956 Å, intensity 31.7
d = 1.708 Å, intensity 16.6

Atomic structure:
a = 8.954 Å, b = 3.913 Å, c = 9.900 Å
α = 90.00°, β = 112.96°, γ = 90.00°
Element x y z (fractional)
Rb1 0.238 0.250 0.272
Rb2 0.762 0.750 0.728
Zr1 0.308 0.750 0.830
Zr2 0.692 0.250 0.170
Pd1 0.099 0.250 0.588
Pd2 0.901 0.750 0.412
Se1 0.113 0.250 0.858
Se2 0.462 0.750 0.140
Se3 0.538 0.250 0.860
Se4 0.887 0.750 0.142
S1 0.237 0.750 0.557
S2 0.763 0.250 0.443

No. 4
Simulated XRD peak list
Compound: Ba3TcO6
Radiation: Cu Kα (weighted mean of Kα1 and Kα2)
Structure: a structure optimized by DFT (GGA-PBE)
Neutral-atom scattering factors, no anomalous dispersion.

Principal peaks in the range 5 to 70 degrees two-theta, sorted by position:
d = 3.172 Å, intensity 100.0
d = 3.161 Å, intensity 45.0
d = 3.051 Å, intensity 45.0
d = 3.032 Å, intensity 93.3
d = 2.195 Å, intensity 50.7
d = 2.188 Å, intensity 21.3